Press: USA Today
DRI Fund was included in a USA Today article by senator Tim Scott discussing the Investing in Opportunity Act and its impact on underserved communities. The mention is based on our piece in The Hill.
According to the DRI Fund, at least $2 trillion in unrealized capital gainsis sitting on the sidelines, and nearly a fifth of our population is living in communities devoid of opportunity and promise.
Someone pasted quantum chemistry results at this point:
+++
i.
Entry from the OMol25 dataset: 3 unconnected molecules or ions with the total composition C4H15NO2S (ωB97M-V/def2-TZVPD).

```
! wB97M-V def2-TZVPD RIJCOSX def2/J DEFGRID3
* xyz 0 1
C -1.438 0.060 2.461
N -0.120 0.678 2.340
C 0.144 1.292 1.050
C -1.010 2.036 0.349
C -1.590 1.239 -0.840
S -1.024 1.893 -2.442
H -2.248 0.785 2.150
H -1.653 0.060 3.542
H -1.634 -0.859 1.960
H 0.065 1.293 3.115
H 0.334 0.317 0.428
H 1.097 1.827 0.998
H -0.548 2.999 0.025
H -1.682 2.584 1.016
H -2.673 1.167 -0.736
H -1.239 0.176 -0.952
H 0.197 1.353 -2.256
O 2.180 -2.816 0.859
H 2.609 -2.692 1.713
H 1.605 -2.044 0.795
O 2.858 -4.633 -1.522
H 2.524 -3.958 -0.897
H 2.945 -5.345 -0.875
*
```

Output
HOMO level (eV): -8.90
SMILES string: CNCCCS.O.O
HOMO-LUMO gap (eV): 9.416

Mulliken population analysis, charges in e, atoms 1 to 4:
1. C -0.8970
2. N -0.3361
3. C -0.3496
4. C -0.7070


ii.
Entry from the OMol25 dataset: 3 unconnected molecules or ions with the total composition C4H15NO2S (ωB97M-V/def2-TZVPD).

```
! wB97M-V def2-TZVPD RIJCOSX def2/J DEFGRID3
* xyz 0 1
C 0.251 -1.343 -0.529
S 0.338 -1.309 1.250
C -0.192 0.329 1.952
C 0.284 1.398 1.016
C -0.736 2.440 0.555
N -0.262 3.598 -0.188
H -0.664 -1.019 -0.921
H 0.420 -2.351 -0.864
H 1.097 -0.667 -1.007
H 0.385 0.311 2.833
H -1.271 0.142 2.138
H 1.035 1.210 0.247
H 0.967 1.990 1.518
H -1.556 1.835 0.009
H -1.345 2.902 1.447
H 0.026 4.414 0.258
H 0.381 3.564 -0.914
O -3.874 -3.037 -0.383
H -3.250 -2.561 -0.899
H -3.530 -3.216 0.529
O 3.745 -0.410 -3.864
H 3.720 -0.633 -2.913
H 3.405 0.467 -4.134
*
```

Output
HOMO level (eV): -8.59
SMILES string: CSCCCN.O.O
HOMO-LUMO gap (eV): 8.979

Mulliken population analysis, charges in e, atoms 1 to 4:
1. C -0.7044
2. S -0.1499
3. C -0.5043
4. C -0.7749


iii.
Entry from the OMol25 dataset: 3 unconnected molecules or ions with the total composition C4H15NO2S (ωB97M-V/def2-TZVPD).

```
! wB97M-V def2-TZVPD RIJCOSX def2/J DEFGRID3
* xyz 0 1
C 1.064 0.418 -2.240
C -0.118 -0.423 -1.533
N -0.242 -0.555 -0.085
C -1.548 -1.195 0.255
C -1.779 -0.979 1.897
S -2.467 0.684 2.027
H 0.832 0.731 -3.271
H 2.045 -0.107 -2.315
H 1.088 1.123 -1.563
H -1.055 -0.037 -1.913
H -0.036 -1.447 -1.899
H -0.200 0.439 0.384
H -2.487 -0.944 -0.314
H -1.490 -2.243 0.138
H -0.737 -1.311 2.268
H -2.434 -1.706 2.192
H -1.564 1.534 2.537
O 1.057 3.942 -0.008
H 1.324 4.518 -0.803
H 1.842 3.421 0.105
O 2.518 -1.928 1.705
H 2.274 -2.743 1.203
H 2.114 -1.192 1.234
*
```

Output
HOMO level (eV): -8.98
SMILES string: CCNCCS.O.O
HOMO-LUMO gap (eV): 9.514

Mulliken population analysis, charges in e, atoms 1 to 4:
1. C -0.8598
2. C -0.5874
3. N -0.0628
4. C -0.7944


Most stable = i


i.
Entry from the OMol25 dataset: 2 unconnected molecules or ions with the total composition C3H10P2 (ωB97M-V/def2-TZVPD).

```
! wB97M-V def2-TZVPD RIJCOSX def2/J DEFGRID3
* xyz 0 1
C -2.674 0.072 -1.209
C 0.054 -1.495 0.979
C 0.049 1.293 0.825
P 2.510 -0.086 -0.539
P 0.249 -0.089 -0.315
H -3.096 0.710 -1.909
H -2.148 -0.822 -1.881
+++
So much for the quantum chemistry results:
Sen. Tim Scott: New tax law will spur opportunity in distressed communities
The Investing in Opportunity Act gives investors incentive to put their sidelined capital gains into struggling areas in every zip code.
Poverty has long been one of the most challenging social crises of our time. Despite good-intentioned efforts to generate positive change, currently 52 million Americans continue to face the dire circumstances of a lack of jobs, education, and the confidence that things will get better.
I will be at the White House on Wednesday with President Trump, administration officials and community leaders to discuss the Investing In Opportunity Act. The IIOA, which was included in last year’s tax reform package, seeks to direct trillions in capital gains to distressed communities in every state.
Even with the healthier state of our economy and more promising job market, the unfortunate fact remains that there are neighborhoods scattered throughout every one of our 50 states where the hope of achieving the American Dream has all but disappeared. Today, too many individuals remain trapped, and families stand on the verge of settling for a new norm that is inconsistent with the prosperity associated with our great nation.
In South Carolina we have seen some amazing growth and development over the past several years. Companies are moving in, they’re creating good-paying jobs, and communities are feeling the effects of a promising economic tide. But this isn’t the reality for everyone. In fact, about 30% of our population is considered to be living in a distressed zip code. That’s tens of thousands of people that have simply been out of reach of the positive changes that have swept other parts of our state.
So the question then is — how do we spread opportunity to every corner of every community across our nation? The solution isn’t nested in another tax-payer funded government program or initiative that fails to get to the root of the problem, but rather public-private partnerships that encourage long-term investment and continued success.
A few years ago in Spartanburg, S.C., I was able to personally see the results of a public-private partnership called The Northside Initiative, a multi-million dollar partnership that leveraged resources to inspire business development, modernized housing, and job creation. The outcome has been outstanding: crimes dropped by 81% in five years, and 150 dilapidated properties have been turned into a food hub, Mixed Housing Model Block, and other new housing opportunities.
This Northside Initiative’s model is a classic example of how public-private partnerships can have a tremendous impact on our most financially disadvantaged communities. It’s simple math.
According to the DRI Fund, at least $2 trillion in unrealized capital gains is sitting on the sidelines, and nearly a fifth of our population is living in communities devoid of opportunity and promise.
Under the IIOA, in exchange for a lower capital gains rate that decreases based on the length of the investment, investors can put those unused dollars to work in a meaningful and productive way that will grow jobs, inspire entrepreneurship, and improve the local economy.
To make sure the zip codes most in need are the ones that reap the benefits of this new provision, all 50 governors will designate “Opportunity Zones,” meaning governors and local leaders will have the opportunity to identify key qualifying locations that stand to gain the most from this initiative. At the U.S. Conference of Mayors meeting last month local leaders expressed their excitement for this plan, state development offices across the nation are working hard to nominate Opportunity Zones within their area of jurisdiction, and scores of community development groups have already expressed eagerness to find out how they can get involved.
To create a brighter tomorrow for communities that have been left behind, we need to capitalize on the private-sector resources that can help boost these areas in ways we haven’t seen before. This is what IIOA will accomplish. I am excited about the far-reaching impact this program will have for folks looking for a hand up, and a brighter future.
Tim Scott is a Republican senator from South Carolina.